Mortgage Rates: Where We’ve Been and Where We’re Going

In 2012, the housing market got a boost from the long-term stability of mortgage rates. The Federal Reserve’s stimulus measures helped keep borrowing costs near record lows for much of last year, and through the first few months of 2012.

Low rates helped bring home buyers off the sidelines and into the market, driving home prices north across much of the country.

But mortgage rate trends shifted significantly in May 2013. That’s when Federal Reserve officials met for one of their Federal Open Market Committee (FOMC) meeting.
These meetings are a regular occurrence, taking place eight times a year. But the event that took place on May 1 sent waves through the stock market and the broader economy. That was when Fed officials said they could begin winding down their bond-buying stimulus program known as quantitative easing.

Shortly after that seemingly innocuous statement, the 10-year Treasury yield rose sharply. Mortgage rate trends tend to follow the up or down movements of the 10-year T-bond, and this time was no different.

Trend Watch: Current Mortgage Rates 1% Higher Than May

On May 2, the benchmark 30-year mortgage rate began an upward climb
that put it well into 4% territory. During the week ending on July 12,
the benchmark rate hit an 18-month high of 4.51%.

Delaying a purchase until later this year will likely increase the total cost of the purchase.

Misplaced data records
........
{
  "formula": "C21H68F6N23O23S2",
  "method": "ωB97M-V with the def2-TZVPD basis set",
  "orbital_gap_ev": 7.824,
  "de_lowest_kcal_mol": 297.86,
  "lumo_ev": 1.454,
  "charge": -1,
  "energy_ev": -142217.118,
  "mol_weight_g_mol": 1189.04,
  "e_homo_ev": -6.4,
  "elements": ["C", "F", "F", "F", "S", "O", "O", "N", "S", "O", "O", "C", "F", "F", "F", "C", "O", "N", "N", "H", "H", "H", "H", "C", "O", "N", "N", "H", "H", "H", "H", "C", "O", "N", "N", "H", "H", "H", "H", "C", "O", "N", "N", "H", "H", "H", "H", "C", "O", "N", "N", "H", "H", "H", "H", "C", "O", "N", "N", "H", "H", "H", "H", "C", "O", "N", "N", "H", "H", "H", "H", "C", "O", "N", "N", "H", "H", "H", "H", "C", "O", "N", "N", "H", "H", "H", "H", "C", "O", "N", "N", "H", "H", "H", "H", "C", "O", "N", "N", "H", "H", "H", "H", "C", "C", "O", "O", "H", "H", "H", "H", "H", "H", "C", "C", "O", "O", "H", "H", "H", "H", "H", "H", "C", "C", "O", "O", "H", "H", "H", "H", "H", "H", "C", "C", "O", "O", "H", "H", "H", "H", "H", "H"],
........

The sudden shift in mortgage rate trends alarmed housing analysts and home buyers alike.

Analysts are concerned that rising rates could slow the nascent
recovery taking place in the housing market. Home buyers worry that
higher borrowing costs could put homeownership out of reach entirely.

So far, rising rates haven’t had a major effect on home-buying
activity. Refinancing activity, on the other hand, has dropped sharply
in response to the recent rate trends. Last week, the Mortgage Bankers
Association’s refinance index — a measure of refinancing activity based
on application volume — fell to its lowest level since July 2011. The
purchase index, which measures home-buying activity, rose slightly
during the same period.

Home prices are a bigger concern in some parts of the country.
Property prices in California and throughout the Southwest are rising
fast enough to shrink the buyer pool. For instance, home prices in the
San Francisco metro area jumped by more than 20% over the last year.
This trend will definitely squeeze some buyers out of the market.

But these tremendous price gains are limited to a dozen or so
metropolitan areas. In other parts of the country, prices are rising
much more gradually or not at all. So there should still be plenty of
housing demand through 2013 and into 2014.

Recent mortgage rate trends haven’t stopped the housing recovery. But
they have generated plenty of headlines and caught the attention of
home buyers across the country. Savvy buyers can put two and two
together. With home prices rising in most cities, and mortgage rates
following an overall upward trend, it’s clear that market conditions are

From a home buyer’s perspective, the best days are in the rear-view
mirror. Delaying a purchase until later this year will likely increase
the total cost of the purchase, from both a pricing and interest

Looking Ahead: Market and Rate Predictions Through 2013

So what can we expect in the weeks and months ahead? Home prices will
likely continue along their current trajectory. A reversal of the
current trend is unlikely. Housing inventories have shrunk considerably
in most parts of the country, at a time when demand is rising. So we
will likely see more of the price gains we’ve seen over the last year.

We anticipate a gradual rise in rates through the end of the year

As for mortgage rate trends, these are much harder to predict. The
Federal Reserve’s stimulus program have kept lending rates near record
lows for months. But there is a lot of concern about how and when the
Fed will taper this program.

The mere mention of tapering caused mortgage rates to jump by more than a full percentage point.